### Input
........
# 1
# GeICl

Crystalline GeICl at its relaxed geometry (GGA-PBE, Alexandria).

Properties
DFT total energy (eV per atom): -3.200
E_form (uncorrected) (eV/atom): -0.53

a b c (Å): 4.1245 4.1245 15.0064
angles (deg): 100.79 100.79 60.11
Element x y z (fractional)
Ge 0.0000 0.0000 0.0000
Ge 0.2159 0.2159 0.4665
I 0.6057 0.6057 0.8744
I 0.9362 0.9362 0.5921
Cl 0.3705 0.3705 0.0917
Cl 0.5033 0.5033 0.3749



# 2
# InGeI2Cl

Crystalline InGeI2Cl at its relaxed geometry (GGA-PBE, Alexandria).

Properties
DFT total energy (eV per atom): -1.963
E_form (uncorrected) (eV/atom): 0.50
Polymorph energy (0 for the lowest one) (meV per atom): 950

a b c (Å): 6.0816 6.0816 5.5358
angles (deg): 90.00 90.00 90.00
Element x y z (fractional)
In 0.0000 0.0000 0.0000
Ge 0.5000 0.5000 0.0000
I 0.0000 0.5000 0.5000
I 0.5000 0.0000 0.5000
Cl 0.0000 0.0000 0.5000



no.,theoretical density (kg/m3)
1,3612
2,3866

=====

CdNiB4 (PBE, relaxed); ρ = 6.117 g cm⁻³; energy relative to the lowest polymorph listed for this composition = 0.0 meV per atom; M_tot = 0.1 μB/f.u.; space group = P6/mmm (191); raw total energy = -5.199 eV/atom; crystal system = hexagonal
1.0
-0.189 -0.187 3.031
0.879 -2.419 -1.622
6.914 2.135 0.563
B Cd Ni
4 1 1
Cartesian
1.573 -0.497 1.595 B
1.930 -1.241 0.044 B
5.675 0.770 1.929 B
6.031 0.026 0.378 B
3.457 1.068 0.282 Cd
0.000 0.000 0.000 Ni

---

HgI (PBE, relaxed); ρ = 7.981 g cm⁻³; energy relative to the lowest polymorph listed for this composition = 166.8 meV per atom; space group = Fm-3m (225); raw total energy = -0.992 eV/atom; crystal system = cubic
1.0
4.009 1.276 1.821
0.217 3.698 2.702
0.733 -0.488 4.499
Hg I
1 1
Cartesian
0.000 0.000 0.000 Hg
2.480 2.243 4.511 I
........

### What to do
Please retype only the lines earlier on with the word "Cd" in them.

### Solution
B Cd Ni
3.457 1.068 0.282 Cd